Entries >
********
(1)
First-principles (PBE+U) data for LiV3O4 after structural relaxation, as listed in the Materials Project.

## Properties
* energy: -7.388 eV/atom
* ΔH_f (0 K): -2.2497 eV/atom
* symmetry: P2/m (10)
* excess energy over the best structure of this formula in the dataset: 39 meV/atom

```
LiV3O4
1.0
5.279 0.000 0.000
0.000 6.096 0.000
-1.828 0.000 4.956
Li V O
2 6 8
direct
0.000 0.000 0.000 Li
0.500 0.500 0.500 Li
0.000 0.247 0.500 V
0.000 0.500 0.000 V
0.000 0.753 0.500 V
0.500 0.000 0.500 V
0.500 0.246 0.000 V
0.500 0.754 0.000 V
0.240 0.500 0.764 O
0.246 0.258 0.244 O
0.246 0.742 0.244 O
0.251 0.000 0.752 O
0.749 0.000 0.248 O
0.754 0.258 0.756 O
0.754 0.742 0.756 O
0.760 0.500 0.236 O
```



(2)
First-principles (PBE+U) data for CaCrGe2O6 after structural relaxation, as listed in the Materials Project.

## Properties
* energy: -6.850 eV/atom
* ΔH_f (0 K): -2.4029 eV/atom
* excess energy over the best structure of this formula in the dataset: 0 meV/atom

```
CaCrGe2O6
1.0
-3.267 -5.114 -3.135
0.784 -4.341 6.799
-8.826 0.460 4.585
Ca Cr Ge O
4 4 8 24
direct
0.307 0.976 0.724 Ca
0.307 0.476 0.224 Ca
0.693 0.024 0.276 Ca
0.693 0.524 0.777 Ca
0.906 0.169 0.924 Cr
0.094 0.332 0.575 Cr
0.906 0.668 0.425 Cr
0.094 0.832 0.075 Cr
0.381 0.705 0.488 Ge
0.381 0.205 0.988 Ge
0.817 0.947 0.670 Ge
0.817 0.447 0.169 Ge
0.619 0.295 0.512 Ge
0.619 0.795 0.012 Ge
0.183 0.053 0.330 Ge
0.183 0.554 0.830 Ge
0.325 0.930 0.458 O
0.325 0.430 0.958 O
0.609 0.862 0.824 O
0.609 0.362 0.324 O
0.675 0.070 0.542 O
0.675 0.570 0.042 O
0.391 0.138 0.175 O
0.391 0.638 0.676 O
0.115 0.236 0.377 O
0.115 0.736 0.877 O
0.379 0.274 0.612 O
0.379 0.774 0.112 O
0.885 0.764 0.623 O
0.885 0.264 0.123 O
0.621 0.726 0.388 O
0.621 0.226 0.888 O
0.200 0.580 0.443 O
0.200 0.081 0.942 O
0.993 0.083 0.704 O
0.993 0.583 0.204 O
0.800 0.419 0.558 O
0.800 0.920 0.057 O
0.007 0.917 0.296 O
0.007 0.418 0.796 O
```



(3)
First-principles (PBE+U) data for MgTi2Mn4O12 after structural relaxation, as listed in the Materials Project.

## Properties
* energy: -7.620 eV/atom
* ΔH_f (0 K): -2.4354 eV/atom
* symmetry: P1 (1)
* excess energy over the best structure of this formula in the dataset: 2 meV/atom

```
MgTi2Mn4O12
1.0
5.115 0.000 0.000
2.554 4.562 0.000
0.651 1.223 10.228
Mg Ti Mn O
1 2 4 12
direct
0.000 0.000 0.000 Mg
0.038 0.762 0.731 Ti
0.552 0.260 0.277 Ti
0.203 0.944 0.261 Mn
0.362 0.080 0.761 Mn
0.697 0.416 0.757 Mn
0.865 0.613 0.254 Mn
0.034 0.360 0.856 O
0.070 0.081 0.651 O
0.183 0.668 0.158 O
0.197 0.256 0.346 O
0.312 0.768 0.863 O
0.365 0.430 0.665 O
0.531 0.589 0.350 O
0.532 0.967 0.164 O
0.687 0.779 0.669 O
0.705 0.056 0.855 O
0.872 0.948 0.365 O
0.876 0.252 0.150 O
```



(4)
First-principles (PBE+U) data for Na2VO3 after structural relaxation, as listed in the Materials Project.

## Properties
* energy: -5.930 eV/atom
* ΔH_f (0 K): -2.1281 eV/atom
* symmetry: Fdd2 (43)

```
Na2VO3
1.0
0.000 9.216 4.486
3.222 0.000 4.486
3.222 9.216 0.000
Na V O
8 4 12
direct
0.255 0.745 0.256 Na
0.428 0.574 0.415 Na
0.506 0.994 0.505 Na
0.574 0.428 0.583 Na
0.667 0.835 0.676 Na
0.745 0.255 0.744 Na
0.835 0.667 0.822 Na
0.994 0.506 0.995 Na
0.073 0.934 0.100 V
0.150 0.356 0.177 V
0.356 0.150 0.316 V
0.934 0.073 0.894 V
0.049 0.451 0.440 O
0.098 0.945 0.588 O
0.164 0.295 0.641 O
0.191 0.810 0.799 O
0.295 0.164 0.900 O
0.350 0.609 0.955 O
0.451 0.049 0.059 O
0.609 0.350 0.086 O
0.662 0.881 0.152 O
0.810 0.191 0.201 O
0.881 0.662 0.305 O
0.945 0.098 0.369 O
```



(5)
First-principles (PBE+U) data for NaEuDyWO6 after structural relaxation, as listed in the Materials Project.

## Properties
* energy: -7.912 eV/atom
* ΔH_f (0 K): -2.8848 eV/atom
* symmetry: F-43m (216)

```
NaEuDyWO6
1.0
0.000 4.165 4.165
4.165 0.000 4.165
4.165 4.165 0.000
Na Eu Dy W O
1 1 1 1 6
direct
0.000 0.000 0.000 Na
0.500 0.500 0.500 Eu
0.750 0.750 0.750 Dy
0.250 0.250 0.250 W
0.016 0.016 0.484 O
********

Activity >
It remains to search the lines further up for the word "Na" and echo each line that has it.

Completed >
Na V O
0.255 0.745 0.256 Na
0.428 0.574 0.415 Na
0.506 0.994 0.505 Na
0.574 0.428 0.583 Na
0.667 0.835 0.676 Na
0.745 0.255 0.744 Na
0.835 0.667 0.822 Na
0.994 0.506 0.995 Na
Na Eu Dy W O
0.000 0.000 0.000 Na